Justice Across The Dimensions

Chapter 1318: The darkness of the world


What Qi Baoxin looks like, Yang Qiuhe has actually forgotten about it before, but yesterday he saw Xinxin, not a star, that girl has a very similar appearance to Qi Baoxin, but she is more beautiful and more radiant than her .

He vaguely remembered that when he was at the playground yesterday, at a certain moment, Bai Qianmiao's appearance strangely overlapped with Qi Baoxin's, as if she had turned into Qi Baoxin.

But how is it possible, if Qi Baoxin is like a bright moon, then Bai Qianmiao is just a little bit of starlight, she has no way to compare with the radiant Qi Baoxin.

"Bai Qianmiao, you are crazy, you are really crazy, how could you be Qi Baoxin? You can never be her in your life!"

Qi Baoxin is very beautiful, that beauty was bestowed on her by God, and if Bai Qianmiao wants to achieve Qi Baoxin's beauty, even if ten of the most skilled plastic surgeons work together, there is no way to make her look like Qi Baoxin.

What she said now that Qi Baoxin is in her body, what is it if she is not crazy

Yang Qiuhe refused to believe Bai Qianmiao's words. She let go of Bai Qianmiao's collar and let her fall on the bed. He looked down at Bai Qianmiao, whose face was twisted and ferocious, and he could no longer see any tenderness. He suddenly sneered and said coldly.

"I should have sent you to a mental hospital. I should have sent you there long ago."

Yang Qiuhe's voice is no longer as gentle as it used to be, as if treating a stranger, no, his appearance is even a bit colder than treating a stranger, looking at Bai Qianmiao as if he is looking at something Like something dirty and disgusting.

Those tender feelings in the past seemed to disappear at this moment, and those feelings that were so deep that people doubted they would never disappear, at this moment, they also receded like a tide.

Without the pretense of those false feelings, Bai Qianmiao also saw clearly the true face of Yang Qiuhe.

She stared at Yang Qiuhe quietly, and suddenly, Bai Qianmiao couldn't help but grinned.

"Ha ha ha ha… "

It was still a low laugh at the beginning, but soon it became more and more rampant, as if she thought of something funny, the laughter became more and more arrogant, and in the end she even hugged her stomach exaggeratedly Rolling on the bed.

Looking at Bai Qianmiao like this, Yang Qiuhe didn't have any other thoughts other than being disgusted. His tone revealed a strong color of disgust, and he said coldly: "What are you laughing about? What are you laughing at?" Something makes you feel so ridiculous?"

After a long time, Bai Qianmiao finally stopped laughing. She wiped away the tears shed from laughing wildly just now, and when she looked at Yang Qiuhe again, there was no friendship in her eyes.

"Yang Qiuhe, I was blind and fell in love with a thing like you. If I had known that you were such a thing, I would not have liked you from the beginning."

Yang Qiuhe didn't expect that the woman who once liked him crazily would say such words suddenly, his complexion suddenly changed, and a stern look appeared between his brows.

"What did you say?"

/*
{"formula": "Ba2PrIrO6", "functional": "PBE-GGA", "state": "relaxed", "lattice": [[6.089, 0.000, 0.000], [0.000, 6.089, 0.000], [0.000, 0.000, 8.656]], "species": ["Ba", "Ba", "Ba", "Ba", "Pr", "Pr", "Ir", "Ir", "O", "O", "O", "O", "O", "O", "O", "O", "O", "O", "O", "O"], "fractional_positions": [[0.000, 0.500, 0.250], [0.000, 0.500, 0.750], [0.500, 0.000, 0.250], [0.500, 0.000, 0.750], [0.000, 0.000, 0.000], [0.500, 0.500, 0.500], [0.000, 0.000, 0.500], [0.500, 0.500, 0.000], [0.000, 0.000, 0.270], [0.000, 0.000, 0.730], [0.209, 0.251, 0.500], [0.249, 0.291, 0.000], [0.251, 0.791, 0.500], [0.291, 0.751, 0.000], [0.500, 0.500, 0.230], [0.500, 0.500, 0.770], [0.709, 0.249, 0.000], [0.749, 0.209, 0.500], [0.751, 0.709, 0.000], [0.791, 0.749, 0.500]], "space_group": "P4/mnc", "formation_energy_ev_per_atom": -2.672, "rho_g_cm3": 7.3, "energy_mp2020_ev_per_atom": -7.39}

~~~~~

Record 1
Material: CS14
Method: DFT, PBE-GGA
State: relaxed

Results
E_form: -0.407 eV per atom

a b c (Å): 11.5954 11.5954 12.9418
angles (deg): 90.00 90.00 120.00
Space group R-3m (No. 166, hexagonal axes)
Asymmetric unit:
1 C 0.0000 0.0000 0.0000 (multiplicity 3)
2 S 0.0000 0.0000 0.1202 (multiplicity 6)
3 S 0.0000 0.2898 0.5000 (multiplicity 18)
4 S 0.0864 0.5432 0.2534 (multiplicity 18)

***

Record 2
Material: CS3
Method: DFT, PBE-GGA
State: relaxed

Results
Spin magnetization: 0.00 μB per atom
E_form: 0.332 eV per atom

a b c (Å): 5.9185 22.9063 13.4946
angles (deg): 90.00 90.08 90.00
Space group P2_1/c (No. 14)
Asymmetric unit:
1 C 0.0188 0.1045 0.4559 (multiplicity 4)
2 C 0.0504 0.1453 0.0439 (multiplicity 4)
3 C 0.4200 0.7371 0.7175 (multiplicity 4)
4 C 0.4378 0.0146 0.7805 (multiplicity 4)
5 S 0.1409 0.0700 0.3610 (multiplicity 4)
6 S 0.1451 0.1619 0.5088 (multiplicity 4)
7 S 0.1620 0.0854 0.9926 (multiplicity 4)
8 S 0.1954 0.1807 0.1315 (multiplicity 4)
9 S 0.2041 0.6675 0.4938 (multiplicity 4)
10 S 0.2312 0.5826 0.0006 (multiplicity 4)
11 S 0.2592 0.7037 0.8015 (multiplicity 4)
12 S 0.3099 0.0504 0.6885 (multiplicity 4)
13 S 0.3178 0.5386 0.6731 (multiplicity 4)
14 S 0.3202 0.5456 0.3279 (multiplicity 4)
15 S 0.3417 0.2061 0.8227 (multiplicity 4)
16 S 0.3448 0.6977 0.1730 (multiplicity 4)

***

Record 3
Material: C3S4
Method: DFT, PBE-GGA
State: relaxed

Results
Spin magnetization: 0.00 μB per atom
E_form: 0.014 eV per atom

a b c (Å): 8.7917 9.8966 14.1248
angles (deg): 90.00 103.39 90.00
Space group P2_1/c (No. 14)
Asymmetric unit:
1 C 0.0059 0.0703 0.0962 (multiplicity 4)
2 C 0.0642 0.1423 0.0292 (multiplicity 4)
3 C 0.1231 0.2247 0.5537 (multiplicity 4)
4 C 0.3912 0.6445 0.6562 (multiplicity 4)
5 C 0.4316 0.6422 0.4928 (multiplicity 4)
6 C 0.4441 0.5763 0.5804 (multiplicity 4)
7 S 0.0136 0.1472 0.2073 (multiplicity 4)
8 S 0.0779 0.0907 0.9118 (multiplicity 4)
9 S 0.1166 0.1777 0.6714 (multiplicity 4)
10 S 0.1928 0.1194 0.4822 (multiplicity 4)
11 S 0.3187 0.6949 0.1238 (multiplicity 4)
12 S 0.3529 0.6960 0.9833 (multiplicity 4)
*/
Back to the article >

Bai Qianmiao was not afraid of Yang Qiuhe, she stared at him firmly, because of too much force, her eyes seemed to come out of the two eye sockets.

"I said, I regret falling in love with you. After nine years of acting with you, I am also tired. Now that you have an affair, let's get together and get divorced."

A heavy bomb was dropped, turning Yang Qiu and the bomber on their backs. He stared at Bai Qianmiao, his eyes slowly turning red.

"Say it again, if you have a chance, just say it again."

Bai Qianmiao didn't look at Yang Qiuhe, but looked up at the photo printed on A4 paper and glued together above her head.

Perhaps it is because the number of printed paper is not too high, and it is black and white, the characters in the photos appear extremely fake.

It's like her married life with Yang Qiuhe.

Everything is based on hypocrisy. Both of them are actors with excellent acting skills. She is immersed in this scene, accompanying Yang Qiuhe to act as a loving couple.

She used to think that Yang Qiuhe really liked her, but when the lies in her mind peeled off and she saw her true self, she suddenly realized how false the relationship between herself and Yang Qiuhe was.

It's obviously a very fake play, but they have been acting for so many years. Bai Qianmiao knows what he wants, and Yang Qiuhe is good at acting, so he has acted with her for nine years, pretending Acting as an affectionate husband, it seems that he really loves her as deeply as the ocean.

But Yang Qiuhe's appearance just now broke Bai Qianmiao's fantasy. She felt that Yang Qiuhe might never have loved her from the beginning to the end.

He just regards her as a pastime, an existence that can pass the boring time.

Does it make sense to continue like this

Obviously, this is a meaningless thing, so Bai Qianmiao chose to end it all.

She slowly sat up from the bed, then straightened her clothes, tied up her messy hair, and tried to make herself as decent as possible.

And Yang Qiuhe, who had lost his mind about acting, also completely let go of his disguise, revealing his true face.

"What exactly do you want to do? Bai Qianmiao, I warn you, if you continue to lose your nerve, I will send you to a mental hospital. Haven't you been pretending to be sick? Then I will satisfy you and let you stay in the hospital for the rest of your life." not come out."

Bai Qianmiao's abnormality made Yang Qiuhe feel very uncomfortable. He kept babbling heart-warming words in his mouth, and he couldn't tell at all that not long ago, he was still talking softly to himself, for fear of scaring her.

Bai Qianmiao hooked the corners of her mouth, and a sarcastic smile suddenly appeared on her face. She spoke slowly, and one sentence hit Yang Qiuhe's most concerned place.

"Actually, I haven't been satisfied all these years."

After saying this meaningful sentence, the expression on Yang Qiuhe's face froze instantly. He looked at Bai Qianmiao in disbelief, as if he couldn't believe what he heard.

However, Bai Qianmiao was dancing in a minefield at this time, and stabbed Yang Qiuhe's heart several times.

"Short, small, fast, no technology, but I think I'm good at it."

As he said that, Bai Qianmiao showed a confused expression on his face.

"I'm curious, where did you get so much confidence that you're good at it?"

As Bai Qianmiao said, she suddenly covered her mouth and laughed gigglingly: "You don't know, actually, Baoxin told me when she was still alive, and she compared me with size."

As she spoke, Bai Qianmiao raised her hand, and her index finger and thumb kept getting closer, making a distance she thought was appropriate.

"It's just this big, and you still ask me if it's normal."

Bai Qianmiao's words made Yang Qiuhe's face turn red. How could Yang Qiuhe endure the attack on the thing he cared most about? He looked at Bai Qianmiao with a fierce expression, and said in a word: "I tell you to shut up, don't say any more."

At this time, Yang Qiuhe exuded a strong aura of danger from top to bottom, the veins on his forehead collapsed, and that handsome face became extremely ferocious at this moment.

However, Bai Qianmiao giggled as if she didn't see it.

"At that time, I told her that all men are like this, but later I found out that it's not true, only you are like this, and the average level has not reached, you are so pitiful..."

This time he poked a hornet's nest, the angry Yang Qiuhe jumped on it, and strangled Bai Qianmiao's neck tightly.

"Shut up, shut up!"

No man can bear such humiliation, especially when this humiliation comes from his wife. Yang Qiuhe flew over like an angry hyena, and the hand pinching Bai Qianmiao's neck became more and more intense. The harder you work.

Bai Qianmiao looked at Yang Qiuhe, even though the pain in her neck was getting stronger and her breathing was getting weaker, but there was still a strong sarcasm on her face and the corners of her mouth.

"You are not a man."

"Both Baoxin and I regret following you."

_What comes next are materials data, not part of the text_
-- begin --
[1]
Density functional theory data (PBE-GGA) for an optimized crystal structure of SrMg14CO16.

Size of the total moment (μB/cell): 0.00
Space-group type: Pmmm (47)

a = 8.652 Å, b = 8.599 Å, c = 4.374 Å
α = 90.00°, β = 90.00°, γ = 90.00°
Positions (direct):
Mg  0.000  0.738  0.500
Mg  0.500  0.252  0.500
Mg  0.500  0.000  0.000
Mg  0.500  0.748  0.500
Mg  0.247  0.500  0.500
Mg  0.500  0.500  0.000
Mg  0.000  0.262  0.500
Mg  0.746  0.743  0.000
Mg  0.254  0.743  0.000
Mg  0.259  0.000  0.500
Mg  0.741  0.000  0.500
Mg  0.753  0.500  0.500
Mg  0.254  0.257  0.000
Mg  0.746  0.257  0.000
O  0.500  0.500  0.500
O  0.500  0.745  0.000
O  0.000  0.728  0.000
O  0.000  0.000  0.500
O  0.729  0.000  0.000
O  0.500  0.000  0.500
O  0.256  0.500  0.000
O  0.249  0.250  0.500
O  0.744  0.500  0.000
O  0.751  0.750  0.500
O  0.000  0.272  0.000
O  0.500  0.255  0.000
O  0.249  0.750  0.500
O  0.751  0.250  0.500
O  0.000  0.500  0.500
O  0.271  0.000  0.000
Sr  0.000  0.000  0.000
C  0.000  0.500  0.000

[2]
Density functional theory data (PBE-GGA) for an optimized crystal structure of Lu2Al9Ir3.

Space-group type: Cmcm (63)

a = 7.523 Å, b = 7.523 Å, c = 9.411 Å
α = 90.00°, β = 90.00°, γ = 119.61°
Positions (direct):
Al  0.333  0.333  0.556
Al  0.335  0.001  0.426
Al  0.001  0.335  0.426
Al  0.665  0.999  0.574
Al  0.001  0.335  0.074
Al  0.453  0.663  0.750
Al  0.667  0.667  0.056
Al  0.999  0.665  0.574
Al  0.874  0.874  0.750
Al  0.337  0.547  0.250
Al  0.333  0.333  0.944
Al  0.663  0.453  0.750
Al  0.999  0.665  0.926
Al  0.667  0.667  0.444
Al  0.547  0.337  0.250
Al  0.126  0.126  0.250
Al  0.665  0.999  0.926
Al  0.335  0.001  0.074
Lu  0.004  0.331  0.750
Lu  0.331  0.004  0.750
Lu  0.669  0.996  0.250
Lu  0.996  0.669  0.250
Ir  0.000  0.000  0.500
Ir  0.328  0.672  0.000
Ir  0.328  0.672  0.500
Ir  0.672  0.328  0.500
Ir  0.672  0.328  0.000
Ir  0.000  0.000  0.000

[3]
Density functional theory data (PBE-GGA) for an optimized crystal structure of SmAgAs2.

Space-group type: P4/nmm (129)

a = 4.027 Å, b = 4.027 Å, c = 10.546 Å
α = 90.00°, β = 90.00°, γ = 90.00°
Positions (direct):
As  0.500  0.500  0.000
As  0.000  0.000  0.000
As  0.000  0.500  0.317
As  0.500  0.000  0.683
Ag  0.000  0.000  0.500
Ag  0.500  0.500  0.500
Sm  0.000  0.500  0.770
Sm  0.500  0.000  0.230

[4]
Density functional theory data (PBE-GGA) for an optimized crystal structure of Li2FeS2.

Size of the total moment (μB/cell): 0.01
ΔE to the lowest computed polymorph (meV/atom): 64
Space-group type: Ibam (72)

a = 6.342 Å, b = 6.342 Å, c = 6.342 Å
α = 132.78°, β = 124.90°, γ = 75.44°
Positions (direct):
Li  0.789  0.639  0.150
Li  0.489  0.139  0.350
Li  0.511  0.861  0.650
Li  0.211  0.361  0.850
S  0.658  0.384  0.275
S  0.109  0.884  0.225
S  0.891  0.116  0.775
S  0.342  0.616  0.725
Fe  0.000  0.750  0.750
Fe  0.000  0.250  0.250

[5]
Density functional theory data (PBE-GGA) for an optimized crystal structure of LaOsN3.

Size of the total moment (μB/cell): 0.00
-- stop --

"If we weren't attracted by you when we were young and ignorant, we wouldn't be able to find a wife like you."

It was obvious that she was about to be suffocated, but Bai Qianmiao was still able to make a sound. She attacked Yang Qiuhe's most concerned place, constantly stimulating him, making him lose his mind and make him crazy Incomparable.

Because of the insufficient blood supply to the brain, Bai Qianmiao even had hallucinations in front of his eyes, but Yang Qiuhe, who was close at hand, became extremely clear.

Bai Qianmiao was fascinated by his facial features, his real appearance after taking off the disguise.

In fact, Bai Qianmiao lied.

She likes Yang Qiuhe very much, she likes it very much, she likes it so much that she doesn't even allow her own daughter to distract Yang Qiuhe's attention.

Probably no one in this world likes Yang Qiuhe more than her.

But just because she likes Yang Qiuhe, she doesn't allow the man she likes to be shared with others.

Yang Qiuhe is hers, and only hers. No one else, or anything else, is allowed to touch her things.

Bai Qianmiao's eyes went dark, and she completely lost consciousness, but she was very happy before losing consciousness.

If she could kill Qi Baoxin once, she could kill her a second time. It was absolutely impossible for her to let this woman get between Yang Qiuhe and her again.

That's actually pretty good...


When Yang Qiuhe, who was in a state of madness, came to his senses, his subordinate Bai Qianmiao was no longer breathing, his eyes slowly regained focus, and he realized what he had done belatedly.

Bai Qianmiao died.

She was strangled alive by him.

How could he do such a thing

A strong sense of fear surged up, swallowing Yang Qiu and his whole body. He didn't even dare to look at Bai Qianmiao's body that had lost his breath, and staggered towards the door.

Escape, he has to escape here, as long as he escapes fast enough, no one will find him...

However, not long after Yang Qiuhe fled, he was arrested by the public security organs and brought to justice.

The person who called the police was Yang Xuerong. This little girl saw her father running away in a panic, and also saw her mother lying on the bed without breathing. She called the police, so Yang Qiuhe didn't even have time to drive out of the city. Already been arrested.

Bai Qianmiao's parents have passed away for many years, and she has no other siblings. Yang Qiuhe is also an only child, but his father is paralyzed in bed and needs long-term care, let alone raising a child.

Yang Xuerong lost her mother in one day, and her father went to jail again. She became a little girl that no one wanted.

In the end, she was sent to the orphanage, and like all the children in it, she became a poor little girl without father or mother.

It was late at night, Yang Xuerong hugged her little doll, her eyes were full of excitement.

She never thought that the things that had troubled her for so many years could be solved so easily.

Yang Xuerong never imagined that that disgusting couple would end up like that.

But she was still very happy, after all, she finally got her wish and became an orphan.

"are you there?"

Yang Xuerong looked at her little doll and asked in a soft voice. After saying this, she looked forward to looking at the little doll, waiting for its change.

One minute passed, two minutes passed...

Ten minutes later, just when Yang Xuerong thought the little doll would not change, it quietly changed into a familiar phantom, and Yang Xuerong fell into the opponent's arms like a sucking swallow thrown into the forest.

However, she soon realized something was wrong.

The touch of the phantom in front of her seemed to be different from the past, she seemed to have become empty, without the warm and soft touch of the past.

She seems to be disappearing.

Even if her mother died and her father was imprisoned, Yang Xuerong was never so frightened, but now when she found that this phantom that gave her a warm feeling was about to disappear, Yang Xuerong fell into a huge panic.

"Are you going to disappear?"

"Can you not go?"

"The future has changed, we can be together now, will you stay with me?"

## Inserted here: materials data
'''
[1]
# PrSi

PrSi after structural relaxation (r2SCAN, the Materials Project).

Geometry as POSCAR:
```
PrSi
1.0
-3.8502 0.9282 0.1074
-0.9430 -3.3471 -4.8777
-1.4676 -6.6485 4.8460
Si Pr
4 4
Direct
0.7500 0.1190 0.4655 Si
0.7500 0.3810 0.9655 Si
0.2500 0.8810 0.5345 Si
0.2500 0.6190 0.0345 Si
0.2500 0.3866 0.6792 Pr
0.2500 0.1134 0.1792 Pr
0.7500 0.6134 0.3208 Pr
0.7500 0.8866 0.8208 Pr
```

Summary:
Total moment (μB/f.u.): 0.00
Energy of formation from the pure elements (meV/atom): -797

=====

[2]
# NdSiNi

NdSiNi after structural relaxation (r2SCAN, the Materials Project).

Geometry as POSCAR:
```
NdSiNi
1.0
-2.0543 2.0543 6.9033
2.0543 -2.0543 6.9033
2.0543 2.0543 -6.9033
Ni Nd Si
2 2 2
'''

As the little girl spoke, she couldn't help crying.

She was very scared, and also very scared. If this phantom disappeared, what would she do in the future

Xu Ying kissed her forehead and said softly: "Your future has changed, so I will no longer exist. That future is too bad. I don't want you to become that cold-blooded look."

A warm kiss landed on her forehead, and Yang Xuerong felt her cold body gradually warming up.

"You will meet many people who will make your life better and better. A bad future will not come, and you must work hard to make our future better."

"I will wait for you in the future, and when you get better and better, we will meet again."

Yang Xuerong's eyes widened, feeling that the limp body she was hugging slowly lost its sense of existence, she bit her lip, trying not to cry out.

"You wait for me, I will grow up soon, and we will meet again."

The phantom finally disappeared, but Yang Xuerong didn't cry, she wiped her tears vigorously, and slowly closed her eyes.

She didn't disappear, but went to a better future waiting for her. As long as she grows up well and obediently, she will soon reach that beautiful future.

At the same time, in Fengcheng, thousands of miles away, Qi Huang who was lying on the bed slowly opened his eyes.